Page 6 of Forever My Saint
Alek’s lips fall into a deep frown, confusion and anger plaguing him. “You don’t honestly believe her?”
Zoey arches a brow, awaiting my answer.
“I don’t have a choice. If there’s a possibility that what she’s saying is true, then I have to do what she says. I won’t leave Saint to the mercy of that asshole.”
Just thinking of him in the hands of Oscar causes my skin to crawl.
Zoey breaks free from Alek’s hold, her grin revealing she enjoys having the upper hand—finally. As much as I hate to rely on her, she is the only ally I have.
“So what’s the plan?”
“???????, no. Do not be fooled by her. She would do anything to get back at me.”
Between two parts of the article: calculated crystals
A relaxed Sc3CdPd5 crystal. Source: Alexandria via LeMat-Bulk, functional PBE.

a = 8.0707 Å, b = 8.0707 Å, c = 5.6237 Å
α = 90.00°, β = 90.00°, γ = 120.00°
Space group P6_3/mcm (No. 193)
Symmetry-distinct sites (fractional):
Sc (0.0000, 0.3611, 0.2500) x6
Cd (0.0000, 0.0000, 0.0000) x2
Pd (0.0000, 0.3156, 0.7500) x6
Pd (0.3333, 0.6667, 0.0000) x4

DFT total energy in eV/cell: -105.96
Total magnetization in μB per formula unit: 0.00

A relaxed Nb6NiPt crystal. Source: Alexandria via LeMat-Bulk, functional PBE.

a = 4.704 Å, b = 4.704 Å, c = 12.420 Å
α = 90.00°, β = 90.00°, γ = 90.00°
Space group I4/mmm (No. 139)
Symmetry-distinct sites (fractional):
Nb (0.000, 0.000, 0.248) x4
Nb (0.000, 0.500, 0.124) x8
Ni (0.000, 0.000, 0.000) x2
Pt (0.000, 0.000, 0.500) x2

DFT total energy in eV/cell: -147.29
Total magnetization in μB per formula unit: 0.00

A relaxed YAlHg2 crystal. Source: Alexandria via LeMat-Bulk, functional PBE.

a = 4.498 Å, b = 4.498 Å, c = 4.478 Å
α = 90.00°, β = 90.00°, γ = 90.00°
Space group P4/mmm (No. 123)
Symmetry-distinct sites (fractional):
Y (0.000, 0.000, 0.000) x1
Al (0.500, 0.500, 0.000) x1
Hg (0.000, 0.500, 0.500) x2

DFT total energy in eV/cell: -12.01
Total magnetization in μB per formula unit: 0.00

A relaxed Re2MoSe crystal. Source: Alexandria via LeMat-Bulk, functional PBE.

a = 3.785 Å, b = 3.785 Å, c = 8.638 Å
α = 90.00°, β = 90.00°, γ = 90.00°
Space group I-4m2 (No. 119)
Symmetry-distinct sites (fractional):
Re (0.000, 0.000, 0.000) x2
Re (0.000, 0.500, 0.250) x2
Mo (0.000, 0.000, 0.500) x2
Se (0.000, 0.500, 0.750) x2

DFT total energy in eV/cell: -72.90
Total magnetization in μB per formula unit: 0.00
Formation energy (no corrections) in eV/f.u.: 2.8

A relaxed Pm6IrN3 crystal. Source: Alexandria via LeMat-Bulk, functional PBE.

a = 10.805 Å, b = 3.651 Å, c = 12.488 Å
α = 90.00°, β = 113.09°, γ = 90.00°
Space group P2_1/m (No. 11)
Symmetry-distinct sites (fractional):
Pm (0.023, 0.250, 0.277) x2
Pm (0.148, 0.250, 0.579) x2
Pm (0.151, 0.750, 0.105) x2
Pm (0.316, 0.750, 0.416) x2
Pm (0.348, 0.750, 0.927) x2
Pm (0.466, 0.250, 0.231) x2
Ir (0.128, 0.250, 0.918) x2
N (0.093, 0.750, 0.435) x2
N (0.259, 0.250, 0.276) x2
N (0.494, 0.250, 0.875) x2
The small tic beneath Zoey’s eye betrays her newfound attitude. She may think she’s rid Alek from her system, but the term of endearment he used for me still gets to her. But I can’t blame her; he was her heroin once upon a time.
“That may be true, but I have to find that out for myself.”
Alek sighs heavily, clearly annoyed by my stubbornness.
“When do we leave?” I want to ask a million other questions, but they can wait. This is the only one that matters.
Zoey nods once, happy with my choice. “I have a few ideas, all of which are dangerous and will probably get you killed.”
Reining in my anger, I focus on the task at hand. “I’m okay with that.”
-- Misplaced calculated crystals --
┌──
A relaxed InAsHAu2 crystal. Source: Alexandria via LeMat-Bulk, functional PBE.

Properties
DFT total energy ... -16.83 eV for the cell shown
Density of states at the Fermi level ... 0.39 states/eV/atom
Symmetry ... P4/mmm

Cell and atoms, written as POSCAR:
```
InAsHAu2
1.0
5.186 0.000 0.000
0.000 5.186 0.000
0.000 0.000 3.461
In As H Au
1 1 1 2
Direct
0.000 0.000 0.000
0.500 0.500 0.500
0.500 0.500 0.000
0.000 0.500 0.500
0.500 0.000 0.500
```


Record 1
A plane-wave DFT calculation with PBE-GGA was carried out for an optimized crystal structure of NaPm4Te5.

Summary:
Raw formation energy, meV per atom: -1388
Offset from the most stable computed form, eV per atom: 0.000
Spin magnetization, μB/f.u.: 0.00

Cell lengths 11.886, 11.886, 11.886 Å; angles 158.23, 149.20, 38.03 degrees
Positions (direct):
Na  0.000  0.000  0.000
Pm  0.203  0.203  0.000
Pm  0.399  0.399  0.000
Pm  0.601  0.601  0.000
Pm  0.797  0.797  0.000
Te  0.102  0.602  0.500
Te  0.301  0.801  0.500
Te  0.500  0.000  0.500
Te  0.699  0.199  0.500
Te  0.898  0.398  0.500

Record 2
A plane-wave DFT calculation with PBE-GGA was carried out for an optimized crystal structure of NaPmTe.

Summary:
Raw formation energy, meV per atom: -663
Spin magnetization, μB/f.u.: 0.00

Cell lengths 3.912, 3.912, 13.802 Å; angles 90.00, 90.00, 90.00 degrees
Positions (direct):
Na  0.000  0.000  0.000
Na  0.500  0.500  0.500
Pm  0.000  0.000  0.281
Pm  0.500  0.500  0.781
Te  0.000  0.000  0.671
Te  0.500  0.500  0.171

Record 3
A plane-wave DFT calculation with PBE-GGA was carried out for an optimized crystal structure of NaPm2Th3Te6.

Summary:
Raw formation energy, meV per atom: -1169
Spin magnetization, μB/f.u.: 0.00

Cell lengths 10.167, 10.167, 9.192 Å; angles 107.28, 107.28, 24.69 degrees
Positions (direct):
Na  0.000  0.000  0.000
Pm  0.329  0.329  0.662
Pm  0.671  0.671  0.338
Th  0.000  0.000  0.500
Th  0.329  0.329  0.164
Th  0.671  0.671  0.836
Te  0.161  0.161  0.082
Te  0.166  0.166  0.581
Te  0.500  0.500  0.246
Te  0.500  0.500  0.754
Te  0.834  0.834  0.419
Te  0.839  0.839  0.918

Record 4
A plane-wave DFT calculation with PBE-GGA was carried out for an optimized crystal structure of Na3Pm2ThTe6.

Summary:
Raw formation energy, meV per atom: -1255
Spin magnetization, μB/f.u.: 0.00

Cell lengths 7.757, 7.757, 8.064 Å; angles 99.22, 99.22, 119.99 degrees
Positions (direct):
Na  0.000  0.000  0.000
Na  0.332  0.668  0.000
Na  0.668  0.332  0.000
Pm  0.167  0.833  0.500
Pm  0.833  0.167  0.500
Th  0.500  0.500  0.500
Te  0.089  0.420  0.259
Te  0.250  0.250  0.741
Te  0.420  0.089  0.259
Te  0.580  0.911  0.741
Te  0.750  0.750  0.259
Te  0.911  0.580  0.741

Record 5
A plane-wave DFT calculation with PBE-GGA was carried out for an optimized crystal structure of Na3PmTh2Te6.

Summary:
Raw formation energy, meV per atom: -1173
Spin magnetization, μB/f.u.: 0.00

Cell lengths 7.671, 7.671, 8.173 Å; angles 99.00, 99.00, 120.00 degrees
Positions (direct):
Na  0.000  0.000  0.000
└──
Alek, it appears, can no longer stand this discussion and turns on his heel to go back inside. I don’t know why he cares. It seems he’s been given a get out of jail for free card as his life will be spared. But from his reaction, you’d think he was the one whose neck was on the line.
Once he’s gone, Zoey reveals her plans. “Pavel has studied the blueprints of Oscar’s home. Just like every villain, he has a secret tunnel leading from the master bedroom to the greenhouse. The garage is close by, allowing an easy exit.”
“Good, let’s go.” I attempt to turn around, but Zoey shakes her head.
“Did you not listen to a word I said?” she asks, looking at me as though I’m an imbecile. “The place is like a fort. We wouldn’t get three feet without being killed. And what good are we to Saint if we’re dead?”
“What then?” I question, unappreciative of her tone.
She tongues her cheek, as if mulling over what to say. “The easiest way in…is for you to walk up to the front door and knock.”
I blink once because I’m not sure if she’s serious. She is.
“It can go one of two ways. They either let you in. Or…” But there is no need for her to elaborate.
I do what she proposes, and there is a high probability that I’ll end up dead.
== Unrelated to this page: materials data ==
~~~
(1)
Compound: InSbCl2
Source: Alexandria
Functional: GGA-PBE
Structure: optimized geometry

Summary:
Raw total energy: -2.996 eV per atom
Theoretical density: 5.074 g cm⁻³
Raw formation energy: -1.43 eV/f.u.
Calculated volume: 25.2 A^3/atom

Cell lengths 6.8685, 9.4576, 3.5238 Å; angles 90.00, 118.46, 90.00 degrees
Closest atoms and distances in Å follow each position.
Space group C2/m (No. 12)
Inequivalent atoms, fractional coordinates:
1 In 0.0000 0.0000 0.0000  4 Cl 2.96
2 Sb 0.0000 0.5000 0.0000  4 Cl 2.96
3 Cl 0.2500 0.2500 0.5000  2 In 2.96, 2 Sb 2.96


(2)
Compound: InSb2Cl
Source: Alexandria
Functional: GGA-PBE
Structure: optimized geometry

Summary:
Raw total energy: -3.448 eV per atom
Theoretical density: 5.064 g cm⁻³
Raw formation energy: -0.96 eV/f.u.
Calculated volume: 32.3 A^3/atom

Cell lengths 3.3618, 4.3289, 17.7474 Å; angles 90.00, 90.00, 90.00 degrees
Closest atoms and distances in Å follow each position.
Space group Imm2 (No. 44)
Inequivalent atoms, fractional coordinates:
1 In 0.0000 0.0000 0.0000  2 Cl 2.69
2 Sb 0.0000 0.0000 0.6227  2 Sb 2.91
3 Sb 0.0000 0.5000 0.7327  2 Sb 2.91
4 Cl 0.0000 0.5000 0.3816  2 In 2.69


(3)
Compound: InSb2Cl
Source: Alexandria
Functional: GGA-PBE
Structure: optimized geometry

Summary:
Raw total energy: -3.199 eV per atom
Theoretical density: 6.343 g cm⁻³
Raw formation energy: 0.03 eV/f.u.
Calculated volume: 25.8 A^3/atom

Cell lengths 3.4505, 5.8132, 10.2797 Å; angles 90.00, 90.00, 90.00 degrees
Closest atoms and distances in Å follow each position.
Space group Cmmm (No. 65)
Inequivalent atoms, fractional coordinates:
1 In 0.0000 0.0000 0.0000  4 Sb 3.22, 6 In 3.38-3.45
2 Sb 0.0000 0.5000 0.2646  2 Cl 2.97, 2 In 3.22
3 Cl 0.0000 0.0000 0.5000  4 Sb 2.97


(4)
Compound: InSbCl6
Source: Alexandria
Functional: GGA-PBE
Structure: optimized geometry

Summary:
Raw total energy: -2.970 eV per atom
Theoretical density: 2.819 g cm⁻³
Raw formation energy: -5.82 eV/f.u.
Calculated volume: 33.1 A^3/atom

Cell lengths 6.8971, 6.9228, 7.5160 Å; angles 90.12, 117.19, 119.76 degrees
Closest atoms and distances in Å follow each position.
Space group P-1 (No. 2)
Inequivalent atoms, fractional coordinates:
1 In 0.0000 0.0000 0.0000  6 Cl 3.25-3.26
2 Sb 0.0000 0.5000 0.5000  6 Cl 2.42
3 Cl 0.1626 0.4734 0.2820  1 Sb 2.42
4 Cl 0.1892 0.3104 0.7176  1 Sb 2.42
5 Cl 0.4054 0.8764 0.7195  1 Sb 2.42

=====

Material: CsHgSb
Method: DFT, GGA-PBE
State: optimized geometry

It has space group P-1 (No. 2), with a = 4.934 Å, b = 7.148 Å, c = 7.498 Å, α = 101.17°, β = 105.28° and γ = 102.54°. The asymmetric unit holds Cs at (0.240, 0.214, 0.355), Hg at (0.499, 0.179, 0.929) and Sb at (0.023, 0.379, 0.829).

The size of the total moment comes out at 0.0 μB/cell. Its formation energy without anion corrections is -291 meV/atom. As for the raw total energy: -0.075 hartree per atom. Its crystal system is triclinic.

---

Material: CsHgSb
Method: DFT, GGA-PBE
State: optimized geometry
~~~
“But if you’re too gutless, then—”
There are no buts in this situation. “I’ll do it,” I interrupt, not wanting to hear another plan of attack because there isn’t one.
This is going to be the best way into the lion’s den because deep down, I know Oscar won’t kill me. Torture me, yes. But kill me, no. What good am I dead? I provide more interest for him alive. He said so himself.
“I need to know what makes you special.”
That’s what Oscar said to me when he tricked Max into taking me to his home. But this time, I come willingly.
Zoey appears to weigh my response, unsure if I’ve heard her correctly. “You know what this means, right?”
“Yes,” I reply without wavering.
“And you’re okay with whatever the outcome may be?”